Five Things We Learned in the Aftermath of Hurricanes Harvey and Irma

APP’s assessment of the effects of hurricanes will inform restoration efforts that can protect our coasts in the future.

In the weeks since hurricanes Harvey and Irma roared ashore in Texas and Florida, APP has been surveying habitats in the hardest-hit areas. The biggest takeaway is that natural coastal ecosystems work—they mitigate storm surges and limit the coastal flooding and erosion that occur when powerful tropical storms come ashore. examples of how some of these natural systems can be restored and APP advocates strongly for federal, state, and local authorities to invest in these types of natural infrastructure at scale that will provide long-term coastal resilience, rather than rely on concrete walls and barriers for short-term gains.

Here are five key results from our post-hurricane coastal assessment:

1.) Island Erosion Is Really Bad

During both storms, acres of critical habitat and natural infrastructure were lost on areas such as Chester’s Island and the Galveston rookery islands, and Alafia Bank Sanctuary in Florida. With Harvey in particular, barrier islands were eroded when the storm first came ashore, then were eroded again when it headed back out into the Gulf. Without regular deposition of sand or dredge materials, and breakwaters to attenuate waves, these islands could disappear. Plans are afoot to rebuild the eroded islands and also to install natural breakwaters.

2.) We Lost a Lot of Wetland and Nesting Sites

High winds and water inundation disrupted or destroyed marsh and nesting sites across the affected regions. Hardest hit were the rookery islands and wetlands that surround Matagorda Bay, including Aransas National Wildlife Refuge, one of the largest Whooping Crane wintering grounds in the country. Many rookery islands lost the shrubs and small trees in which long-legged wading birds, like Reddish Egrets and Roseate Spoonbills, nest. And increased freshwater surges, which are loaded with nutrients from agricultural runoff, will likely cause many wetland habitats to collapse into mudflats in the next few years. Winds from Hurricane Irma destroyed all 44 active nests of the endangered Everglade Snail Kite, effectively tanking the breeding season for this at-risk species.

3.) Natural Breakwaters Are Crucial

Someone pasted calculated molecules at this point
- - -
# 1
{
  "formula": "C6H10",
  "method": "ωB97M-V with the def2-TZVPD basis set",
  "elements": ["C", "C", "C", "C", "C", "C", "H", "H", "H", "H", "H", "H", "H", "H", "H", "H"],
  "coordinates": [[0.9917, 0.0289, -0.7990], [0.1460, -0.6244, 0.2510], [-1.2857, -0.4385, 0.1677], [0.8554, -1.2185, 1.2998], [2.2653, 0.4914, -0.6241], [-1.7538, 0.8101, -0.6079], [-2.8185, 0.9902, -0.4257], [1.8913, -1.6021, 1.1618], [2.6785, 0.4378, 0.4537], [0.4614, 0.1460, -1.7385], [-1.6523, 0.6813, -1.6772], [-1.8899, 0.5188, 1.8880], [2.8224, 0.8616, -1.4042], [-1.8659, -1.3661, 0.1046], [-1.1342, 1.6599, -0.2776], [0.2883, -1.3764, 2.2277]],
  "atomic_forces_ev_per_a": [[0.836, 0.117, 0.023], [3.695, -0.347, 2.076], [-1.602, 2.572, 2.023], [-1.801, 0.190, -1.674], [-2.774, -1.796, 3.495], [-0.115, -0.702, 0.506], [0.357, 0.101, 0.083], [-0.919, 0.765, 0.320], [-0.437, 0.207, -2.084], [0.515, 0.055, -0.292], [0.187, -0.061, -0.472], [0.920, -1.913, -2.132], [1.224, 0.889, -1.545], [-0.099, 0.575, 0.309], [-0.478, -0.285, -0.277], [0.491, -0.367, -0.361]],
  "lowdin_charge": [-0.1580, -0.3756, -0.1484, 0.0547, 0.0347, -0.1850, 0.0618, 0.0729, 0.0909, 0.0864, 0.0571, 0.1635, 0.0162, 0.0911, 0.0794, 0.0583]
}

# 2
{
  "formula": "C5H5NO",
  "method": "ωB97M-V with the def2-TZVPD basis set",
  "elements": ["O", "N", "C", "C", "C", "C", "C", "H", "H", "H", "H", "H"],
  "coordinates": [[2.6775, -0.7519, -0.4803], [-0.6995, 2.8005, 0.6461], [0.0658, -0.7467, -0.7042], [-0.6440, -0.9695, 0.6064], [-0.0929, 1.8339, 0.3949], [-0.9490, 0.1028, -0.3611], [1.7252, -0.1464, -0.2523], [-1.3257, -1.8084, 0.7379], [0.9065, 1.2249, 0.3249], [0.2401, -1.3547, -1.5843], [-0.0792, -0.7065, 1.5102], [-1.8247, 0.5220, -0.8382]],
  "atomic_forces_ev_per_a": [[-0.586, 0.529, 0.222], [0.778, -1.228, -0.320], [-0.236, 0.067, -0.152], [-0.018, -0.024, 0.196], [-0.576, 0.998, 0.251], [0.015, -0.160, -0.163], [0.549, -0.444, -0.187], [0.069, 0.148, -0.022], [-0.165, 0.033, 0.002], [-0.021, 0.158, 0.176], [-0.066, -0.025, -0.164], [0.257, -0.054, 0.161]],
  "lowdin_charge": [0.1415, 0.0910, -0.2209, -0.1082, -0.2074, -0.1404, -0.0698, 0.1048, 0.0387, 0.1382, 0.1050, 0.1275]
}

# 3
{
  "formula": "C3H9NO",
  "method": "ωB97M-V with the def2-TZVPD basis set",
  "elements": ["O", "N", "C", "C", "C", "H", "H", "H", "H", "H", "H", "H", "H", "H"],
  "coordinates": [[2.2304, 1.3964, -0.1972], [-0.5846, -1.4448, -1.0682], [1.3025, 0.8472, 1.9711], [1.2967, 1.0155, 0.4410], [-1.7599, -0.5971, -1.2179], [-2.4609, -0.5763, -0.3765], [2.3157, 1.1533, 2.2354], [0.2837, 0.7726, 0.0513], [-2.3611, -0.9508, -2.0606], [-0.7276, -2.2313, -1.6878], [-1.4979, 0.4482, -1.3859], [0.3008, -1.0931, -1.3869], [0.5091, 1.4470, 2.4025], [1.1532, -0.1869, 2.2797]],
- - -

Alafia Bank Sanctuary in Tampa Bay is the perfect example of how an engineered natural breakwater can make all the difference. During Irma, the parts of the island that are not protected by the breakwater experienced erosion and loss of nesting structures; the parts of the island behind the breakwater—which is made of bales of oyster shells—were protected and fared very well during the storm.

4.) Coastal Islands Need to be Rebuilt Higher

<<<
Formula: C31H55NiO6Si
Source: OMol25
Level of theory: wB97M-V/def2-TZVPD

XYZ file:
```
94
C31H55NiO6Si wB97M-V/def2-TZVPD
O -3.4681 -1.7124 -0.2363
C -3.8207 -0.9312 0.9370
C -4.1798 -2.1801 1.7453
H -4.6800 -0.2930 0.7146
H -2.9852 -0.3371 1.3104
C -3.6617 -2.9587 0.4915
H -5.2499 -2.2700 1.9122
H -3.5959 -2.3180 2.6637
C -4.5940 -3.7923 -0.3616
H -5.4597 -3.1786 -0.6462
H -4.9239 -4.7135 0.1356
H -4.0349 -4.0722 -1.2716
C -2.3835 -3.7202 0.8122
H -1.8469 -3.3235 1.6892
H -1.6834 -3.7250 -0.0252
H -2.6099 -4.7749 1.0274
Ni 0.9775 0.5192 0.2828
C 1.7563 -0.4432 2.0496
C 1.3403 0.7611 2.7300
C -0.0657 0.7111 2.9092
H 2.0261 1.4989 3.1419
C -0.5462 -0.4970 2.3518
C 0.5475 -1.2098 1.7907
H 0.5286 -2.2093 1.3766
H 2.7882 -0.7860 1.8964
H -0.6593 1.4430 3.4574
H -1.5574 -0.8933 2.4599
C 1.4302 -0.0306 -1.8450
C 1.2835 -1.3100 -1.1764
C -0.1087 -1.5902 -1.1217
H 2.1130 -1.9416 -0.8733
C -0.8289 -0.4997 -1.6655
C 0.1025 0.4689 -2.1102
H -0.1063 1.4023 -2.6273
H 2.3676 0.3725 -2.2082
H -0.5422 -2.5464 -0.8453
H -1.9076 -0.4756 -1.8102
O -6.4927 -0.9285 0.3956
C -7.3767 -2.0560 0.6096
C -8.8336 -1.5770 0.7033
H -7.1034 -2.5940 1.5355
H -7.2578 -2.7548 -0.2338
C -8.7454 -0.0349 0.6828
H -9.3016 -1.9640 1.6150
H -9.3725 -1.9513 -0.1757
C -7.2658 0.2986 0.3822
H -9.0456 0.3810 1.6509
H -9.4010 0.3491 -0.0988
H -6.8524 0.9799 1.1449
H -7.1720 0.7842 -0.6071
C 1.5471 4.7017 -4.0509
C 2.4237 3.4610 -3.9192
C 2.0655 2.4631 -5.0137
C 3.8969 3.8370 -4.0289
O 2.1614 2.7887 -2.6640
Si 2.3243 3.2964 -1.1001
O 1.7076 2.2400 -0.0968
O 3.9472 3.5972 -0.8601
C 4.8905 2.6652 -0.2781
C 4.7954 1.3006 -0.9433
C 6.2799 3.2405 -0.5263
C 4.6365 2.5630 1.2194
O 1.6456 4.8056 -1.0728
C 1.5990 5.6968 0.0633
C 1.1221 4.9645 1.3149
C 2.9747 6.3043 0.3310
C 0.6014 6.8010 -0.2778
H 1.6570 5.1171 -5.0641
H 1.8324 5.4753 -3.3296
H 0.4928 4.4420 -3.8959
H 2.1637 2.9378 -5.9983
H 2.7413 1.5995 -4.9897
H 1.0339 2.1079 -4.9027
H 4.1811 4.5693 -3.2622
H 4.5245 2.9403 -3.9365
H 4.0810 4.2818 -5.0191
H 4.9160 1.4038 -2.0294
H 5.6004 0.6553 -0.5654
H 3.8358 0.8204 -0.7141
H 6.4124 4.1842 0.0156
H 7.0424 2.5305 -0.1793
H 6.4347 3.4146 -1.5972
H 4.8918 3.5058 1.7186
H 3.5883 2.3263 1.4266
H 5.2491 1.7708 1.6649
H 1.8284 4.1858 1.6313
H 1.0250 5.6889 2.1368
H 0.1425 4.5039 1.1368
H 3.2239 7.0533 -0.4295
H 2.9670 6.8034 1.3095
H 3.7666 5.5464 0.3406
H 0.9447 7.4034 -1.1266
H -0.3852 6.3828 -0.5142
H 0.4996 7.4711 0.5844
```

The LUMO energy (alpha / beta) comes out at 2.27 / 2.27 eV. The value obtained for the HOMO energy (alpha / beta) is -3.694 / -3.567 eV. The total charge is -1. The spin multiplicity is 3. As for the expectation value of S²: 2.010. The gap between HOMO and LUMO (alpha / beta) is 6.0 / 5.8 eV.


# 1
>>>

In addition to loss of acreage due to storm and boat-traffic erosion, many barrier islands experienced what is called “overwash” when the storm waves washed over the islands. This is both a boon and a detriment to beach-nesting shorebirds. The overwash brought in new sand, and scoured or killed invasive plants with salt water. But the overwash also reduced the elevation of the islands, making beach-nesting birds like Black Skimmers more susceptible to future high tides or storms.

5.) Freshwater Flood Control Is Critical 

During the second phase of hurricane Harvey, the storm dropped more than 50 inches of rain over the Houston metropolitan area. That surge of freshwater brought silt, debris, and trash into Galveston Bay. The influx of freshwater and silt drove most of the fish into deeper, saltier water farther offshore. Because many shorebirds are dependent on healthy fisheries and a ready access to prey, this freshwater inundation severely disrupted their feeding, the effects of which won’t be seen until the next breeding season. Freshwater also posed a major problem for southern Florida as Lake Okeechobee reached capacity and officials had to dump millions of gallons of nutrient-laden water into the bays along Florida’s coast, causing major disruptions to that estuarine habitats. With careful restoration of the Kissimmee River delta that flows into Lake Okeechobee, the surrounding wetlands will be able to absorb more water without endangering the communities south of the lake.

## Attached: calculated molecules
# 1
A gas-phase ion, C6H12N3S (charge +1), computed with wB97M-V/def2-TZVPD.

Structure (XYZ):
```
22
Properties=species:S:1:pos:R:3
C 1.18765 3.09632 -2.83742
C 0.65933 1.76628 -2.45339
S 1.14645 0.31545 -3.14147
N -0.12143 1.75791 -1.30884
N -0.28479 0.85835 -0.56104
N -0.18823 -0.23930 -0.18859
C -0.48876 -1.04057 1.00755
C -1.82692 -0.78872 1.65761
C 0.62195 -0.65815 2.11377
C -0.22068 -2.51073 0.53144
H 0.69579 3.52746 -3.81485
H 1.12347 3.71996 -1.94817
H 2.30034 2.90199 -3.17686
H -2.60259 -0.76931 0.85865
H -2.07597 -1.58100 2.28443
H -1.89692 0.15586 2.25959
H 0.33825 -1.32471 3.03169
H 1.67128 -0.80829 2.00425
H 0.32641 0.31307 2.41163
H -0.79838 -3.20890 1.07556
H -0.37525 -2.65072 -0.56471
H 0.80900 -2.83226 0.75918
```

Results
2S+1 ... 1
Energy above the lowest of the compared OMol25 structures with the same formula, charge and spin ... 501.6 kJ/mol
SMILES ... CC(=S)N=[N+]=NC(C)(C)C
Total charge ... +1
HOMO (spin up / spin down) ... -13.48 / -13.48 eV

Results of the Löwdin charge analysis, in e, for atoms 1 through 8: -0.102 -0.788 0.797 0.131 0.055 0.273 -0.501 -0.026

***

# 2
2 unconnected molecules or ions with the total composition C7H11N2O2, computed with wB97M-V/def2-TZVPD.

Structure (XYZ):
```
22
Properties=species:S:1:pos:R:3
C 0.38960 -2.85794 -1.02784
C -0.27482 -2.71697 -2.50618
O 0.60172 -2.66379 -3.39020
O -1.51280 -2.61250 -2.59602
H 0.60602 -3.89215 -0.82742
H -0.36463 -2.48870 -0.32243
H 1.23418 -2.17087 -1.02261
C 1.22805 0.63848 0.98413
C 2.05819 1.81675 0.42171
C -0.25339 0.85058 0.87770
C -0.84210 2.04485 1.16232
C -2.36132 0.45821 0.82527
N -1.18401 -0.12335 0.67342
N -2.22685 1.80493 1.03382
H 1.56863 -0.31193 0.58753
H 1.42038 0.48133 2.06255
H 2.41259 2.65663 0.99819
H -0.57028 3.09641 1.13247
H -3.19891 -0.06243 0.35479
H -2.97110 2.47293 1.12780
H 1.39113 2.25527 -0.35340
H 2.84974 1.32424 -0.19559
```

Results
2S+1 ... 1
Energy above the lowest of the compared OMol25 structures with the same formula, charge and spin ... 184.5 kJ/mol
Total charge ... -1
HOMO ... -3.38 eV

Results of the Löwdin charge analysis, in e, for atoms 1 through 8: -0.060 -0.793 -0.128 -0.117 0.029 0.020 0.028 -0.194

***

# 3
A molecular structure, C2H4N2O, computed with wB97M-V/def2-TZVPD.

Structure (XYZ):
```
9
Properties=species:S:1:pos:R:3
N -0.41876 0.25993 0.08401
N -0.76402 -0.08635 -1.23545
O -1.26482 -0.41460 1.13929
C 0.91291 0.18532 0.34785
C 2.07773 0.11468 0.61747
H -1.19188 0.78891 0.86383
H -1.73126 0.19477 -1.36563
H -0.72759 -1.10428 -1.30808
H 3.10769 0.06162 0.85671
```

Results
2S+1 ... 1
Energy above the lowest of the compared OMol25 structures with the same formula, charge and spin ... 660.6 kJ/mol
Total charge ... 0
HOMO ... -9.50 eV

Results of the Löwdin charge analysis, in e, for atoms 1 through 8: -0.323 0.087 -0.156 -0.151 0.144 0.181 0.092 0.100

***

# 4
A molecular structure, C4H11O3Sn, computed with wB97M-V/def2-TZVPD.

Structure (XYZ):
```
19
Properties=species:S:1:pos:R:3
## The calculated molecules stop here

What Next?

APP will work with federal and state governments to provide and target funding for natural infrastructure that will restore habitat and protect communities. This funding could not only benefit the critical coastal sites and bird populations outlined in this assessment, but, if provided at scale, could build back ecosystems and communities that will better withstand subsequent storms and hurricanes.  Additionally, APP—in conjunction with partners like the Army Corps of Engineers and other federal agencies, the state governments of Florida and Texas, and local stakeholders—stands ready to help target this funding to benefit birds and the places they need, prepare communities, and steward taxpayer resources.